ICIR 2024

The 6th International Conference on Indigenous Religions (ICIR 6)
“Performing Democracy”
22-25 October 2024; IAKN Ambon
The 2024 election marked one quarter century of Indonesian democratic Reformation. However, the
implementation of the 2024 democratic election forces us to again raise basic questions: what is
democracy, its essence, and its purpose; and can it function in a way that achieves its ideals?
ICIR 6 invites to go beyond the electoral processes of 2024, let alone their results. We invite scholars, researchers, practitioners, CSO activists, and community members to share cosmic and everyday ideas and practices of democracy. These ideas and practices are performed in multiple ways, individually or collectively, socio-politically or religious-culturally, artistically or directly, and so forth; and they address various issues which may include (inter)religious dialogue, conflict and peace, visual and performing arts, human dignity and rights, climate change and ecological justice, traditional and creative economies, indigenous and modernized education and health, and so forth. Performed cosmic and everyday ideas by the people, especially the vulnerable, are worth being counted, not as the target of, but as the basis for democratic/citizenship engagement. ICIR 6 envisions engaged knowledges and wisdoms for effective and sustainable citizenship engagement, especially for the vulnerable.
- Potretmaluku.id – Mengusung Demokrasi Keseharian Warga Rentan dari Maluku
- Tribun Ambon – ICIR ke-6 di Ambon, Usung Isu Demokrasi Keseharian Warga Rentan
- Titastory.id – ICIR Ke-6 Digelar di Ambon
- Sejuk – Mengusung Demokrasi Keseharian Warga Rentan dari Maluku
- Ambon Terkini – ICIR ke-6 Dihelat di Ambon, Mengusung Demokrasi Keseharian Warga Rentan dari Maluku
'''
For SiH6F12, a crystal structure in Alexandria, relaxed with PBE gives the computed powder XRD pattern in this record (a wavelength of 1.5418 Å).
Neutral-atom scattering factors, no anomalous dispersion.

Atomic structure:
```
19
Lattice="6.006 0.000 0.000 0.628 6.016 0.000 0.535 1.371 6.333" Properties=species:S:1:pos:R:3 pbc="T T T"
Si 0.000 0.000 0.000
H 1.260 1.305 2.092
H 2.161 5.056 5.139
H 2.254 2.380 4.603
H 4.914 5.007 1.731
H 5.008 2.331 1.195
H 5.908 6.082 4.242
F 0.974 5.958 5.273
F 1.339 5.071 1.140
F 2.108 1.682 5.639
F 1.957 1.096 2.758
F 2.372 2.983 3.719
F 2.969 4.490 5.119
F 4.199 2.897 1.215
F 4.797 4.404 2.614
F 5.211 6.291 3.575
F 5.060 5.705 0.694
F 5.829 2.316 5.193
F 6.194 1.429 1.060
```

Largest 12 diffraction maxima, in order of rising 2θ, 2θ = 10–90°:
2θ (°)	intensity
13.98	33
14.86	45
15.07	70
18.29	26
19.81	100
22.16	90
26.98	77
32.77	22
34.02	56
37.06	50
38.32	50
49.27	30



For K2BrN2, a crystal structure in Alexandria, relaxed with PBE gives the computed powder XRD pattern in this record (a wavelength of 1.5418 Å).
Neutral-atom scattering factors, no anomalous dispersion.

Atomic structure:
```
5
Lattice="3.760 -2.517 0.000 3.760 2.517 0.000 -2.683 0.000 7.319" Properties=species:S:1:pos:R:3 pbc="T T T"
K 1.079 0.000 1.958
K 3.758 0.000 5.361
Br 3.760 0.000 0.000
N 2.418 1.923 3.659
N 2.418 -1.923 3.659
```

Largest 12 diffraction maxima, in order of rising 2θ, 2θ = 10–90°:
2θ (°)	intensity
12.09	16
21.68	14
23.92	10
26.97	100
28.45	44
29.29	16
35.67	18
39.01	32
40.20	30
41.19	16
46.25	16
66.70	11



For SmDy5Tm6, a crystal structure in Alexandria, relaxed with PBE gives the computed powder XRD pattern in this record (a wavelength of 1.5418 Å).
Neutral-atom scattering factors, no anomalous dispersion.

Atomic structure:
```
12
Lattice="-2.488 4.968 7.482 2.488 -4.968 7.482 2.488 4.968 -7.482" Properties=species:S:1:pos:R:3 pbc="T T T"
Sm 0.000 0.000 0.000
Dy 2.488 0.000 2.505
Dy 0.000 0.000 4.987
Dy 0.000 4.968 0.000
Dy 0.000 0.000 9.977
Dy 0.000 4.968 4.976
Tm 2.488 -2.479 4.985
Tm 2.488 2.495 0.000
Tm 0.000 2.489 2.497
Tm 2.488 2.479 4.985
Tm 0.000 2.472 7.482
Tm 0.000 7.446 2.497
```

Largest 12 diffraction maxima, in order of rising 2θ, 2θ = 10–90°:
2θ (°)	intensity
31.12	100
36.05	34
36.16	17
51.93	24
52.02	12
61.71	14
61.87	28
64.89	12
84.88	12
85.02	6
87.52	6
87.69	6



For Pm3AgSn3Se8, a crystal structure in Alexandria, relaxed with PBE gives the computed powder XRD pattern in this record (a wavelength of 1.5418 Å).
Neutral-atom scattering factors, no anomalous dispersion.

Atomic structure:
```
15
Lattice="4.187 2.417 7.068 -4.187 2.417 7.068 0.000 -4.835 7.068" Properties=species:S:1:pos:R:3 pbc="T T T"
Pm -2.093 -1.209 7.068
Pm -2.093 1.209 14.135
Pm 0.000 2.417 7.068
Ag 0.000 0.000 0.000
Sn -4.187 0.000 10.601
Sn -2.093 1.209 3.534
Sn 2.093 1.209 3.534
Se 0.000 -2.401 8.756
Se -2.079 1.200 8.756
Se 0.000 0.000 5.352
Se -2.079 -1.200 12.447
Se 2.079 1.200 8.756
Se 0.000 0.000 15.851
'''
- Malukunews.co – ICIR ke-6 di Ambon, Mengusung Demokrasi Keseharian Warga Rentan dari Maluku
- Kabar Cirebon – Rentannya Dipolitisasi Agama-Minoritas di Pilkada 2024: Ini yang Akan Dilakukan Steering Committee ICIR
- Ambonkita.com – Identitas Masih Sangat Rentan Dipolitisasi pada Pilkada Serentak
- Suara.com – Kumpulkan Kelompok Minor usai Pemilu, ICIR ke-6 Bakal Usung Tema Performing Democracy
- Arikamedia.id – ICIR Ke-6 Digelar di Ambon, Mengusung Tema “Performing Democracy”
- Mediacenter.malukuprov.go.id – Buka ICIR 6, Sadali: Perluas Pengetahuan & Berpartisipasi dalam Berbagai Kegiatan Demokrasi Keseharian
- Maluku.kemenag.go.id – The 6th International Conference and Consolidation on Indigenous Religion di IAKN Ambon Ketua Pengawas PAK Hadir Mewakili Kepala Kemenag Ambon
- Setda.malukuprov.go.id – PJ Gubernur Maluku BukaICIR 6 di Kota Ambon
- Estungkara – 6th ICIR: Building Democracy in Indigenous Communities Through Film
- Koalisi Advokasi KBB Indonesia – ICIR ke-6 di Ambon, Ubah Stigma Buruk Terhadap Masyarakat Adat
- Optimisme Media – Dari Hak Perempuan hingga Demokrasi Digital: Beragam Topik Hangat di ICIR 6 Ambon
- IAKN Ambon – Masyarakat Adat, Pemimpin Agama, Akademisi, dan Media Bersama-sama Mengatasi Perubahan Iklim dalam ICIR 6 di Maluku
- Globalmaluku.id – Pj Gubernur Secara Resmi Membuka ICIR 6, Ini Harapannya
- ANTARA – Pemprov Maluku Harap Konferensi ICIR Kuatkan Toleransi Beragama
- Mongabay – Kala Kalangan Agamawan Bicara soal Penyingkiran Masyarakat Adat dan Lingkungan